目的 通过参考国际血液学复检专家组推荐的血细胞复检规则,结合实验数据制定适合四川省人民医院实验室使用的血细胞计数和白细胞分类复检规则.方法 采用日本希森美康公司生产的XE-2100全自动血细胞分析仪共检测1145份标本,同时每份标本制备2张血涂片进行手工白细胞分类,观察红细胞、白细胞及血小板形态.按照制定的分类复检初步规则和涂片镜检阳性标准进行评估,计算真阳性、假阳性、真阴性、假阴性及涂片复检率,结合该实验室的实际情况,对初步复检规则进行部分修改,制定出适合该实验室的全血细胞计数和白细胞分类复检规则.结果 通过分类复检初步规则和涂片镜检阳性标准进行评估,真阳性率为16.9%(194/1145)、假阳性率为28.8%(330/1145)、真阴性率为52.0%(595/1145)和假阴性率为2.3%(26/1145),涂片复检率为45.8%(524/1145).由于涂片复检率大大超过拟订的复检率,对初步复检规则的部分条款进行了修改,形成了该实验室的白细胞分类复检规则.应用新规则和涂片镜检阳性标准重新进行评估,真阳性率为13.3%(152/1145)和假阳性率为21.4%(245/1145)、真阴性率为62.3%(713/1145)、假阴性率为3.1%(35/1145),涂片复检率为34.7%(397/1145).验证实验结果表明有病理意义的白血病细胞无漏检.结论 通过制定适合该实验室的白细胞复检规则,提高了工作效率,保证了检验结果的质量,可以有效地避免出现病理标本的漏检及错误检验报告.
Objective To establish the review criteria for complete blood count and WBC differential analysis suitable for Sichuan Provincial People's Hospital of through consulting the international blood smear review criteria. Methods The 1 145 samples were detected by XE-2100 hematology analyzer,while 2 blood smears were performed with manual WBC differential and observation of three kinds cell morphology including RBC, WBC and Platelet. According to the temporary hematology review criteria suggested by clinical laboratory, the true positive ratio (TP),the false positive ratio (FP), the true negative ratio(TN),the false negative ratio(FN) and the ratio of blood smear review were calculated. Based on the conditions of clinical laboratory,revised parts of the temporary hematology review criteria and set up the review criteria suitable for clinical laboratory. Results Aeording to the interantional blood smear review criteria and the temporary hema- tology review suggested by clinical laboratory,the TP,FP,TN, FN and the ratio of blood smear review were 16.9% (194/ 1 145),28.8%(330/1 145),52.0%(595/1 145),2.3%(26/1 145) and 45.8%(524/1 145),respeetively. Because the ratio of blood smear review exceeded the expectations ,revised parts of the temporary hematology review criteria and set up the review criteria suitable for clinical laboratory. On the basis of the revised blood smear review criteria,the TP,FP,TN ,FN and the ratio of blood smear review were 13.3%(152/1 145),21.4%(245/1 145),62.3%(713/1 145),3.1%(35/1 145) and 34.7% (397/1 145),respectively. The verification results showed that no blast cell and immature cell was missed. Conclusion Establishment the review criteria for complete blood count and WBC differential analysis suitable for clinical laboratory could enhance work efficiency and assure quality of examination procedures,while avoid missing of the samples of leukemia and mistake in reports.
Journal of Modern Laboratory Medicine
/*
# C16H52N2O10

A cluster of 10 separate species, C16H52N2O10 in total (ωB97M-V/def2-TZVPD, OMol25).

HOMO ... -0.3583 hartree
SMILES ... NC(N)=O.CC(C)O.CC(C)O.CC(C)O.CC(C)O.CC(C)O.O.O.O.O
Molar mass ... 432.60 g/mol
Kohn-Sham gap ... 9.7 eV

Structure (XYZ):
```
80
Properties=species:S:1:pos:R:3:forces:R:3
N -0.2863 0.8515 0.8195 0.13 -0.73 -0.70
C 0.4396 0.4588 -0.2650 -0.69 0.51 -0.22
N 1.6408 -0.0319 0.0389 -0.15 -0.16 0.25
O 0.0432 0.5738 -1.4516 0.38 0.31 0.89
H -1.0178 1.5125 0.6228 -0.35 0.35 0.38
H 0.1882 0.7673 1.7059 -0.36 0.50 -0.05
H 2.1612 -0.3008 -0.7621 1.02 -0.70 -0.36
H 1.8194 -0.3600 0.9818 0.39 0.12 -0.34
C 1.1511 3.6012 2.4187 0.72 -0.02 0.43
C 2.0494 4.8485 2.6019 -1.03 0.94 0.34
C 2.1107 5.3537 4.0484 -1.11 -0.98 0.16
O 3.3444 4.5626 2.1773 1.04 -0.13 -0.83
H 0.1026 3.8319 2.6373 0.20 -0.04 -0.10
H 1.4913 2.8049 3.0938 -0.09 0.23 0.28
H 1.2489 3.1154 1.4446 -0.08 0.64 -0.20
H 1.6170 5.7014 2.0358 0.14 -0.53 -0.23
H 2.7014 6.2586 4.1967 0.20 -0.22 -0.21
H 2.4581 4.5126 4.6719 0.09 0.54 0.01
H 1.0814 5.5927 4.3471 0.16 0.00 0.20
H 3.8105 5.3925 1.9878 -0.22 -0.44 0.14
C -0.6910 -4.6919 2.4084 -0.04 1.01 0.50
C -0.9576 -4.2680 0.9631 -1.14 -0.50 0.11
C 0.1734 -3.4646 0.3365 0.51 -0.04 1.37
O -1.2602 -5.4758 0.2426 0.00 0.23 -0.50
H -1.4824 -5.3365 2.7956 0.04 -0.10 -0.31
H -0.7066 -3.8120 3.0724 0.20 -0.10 -0.18
H 0.2670 -5.1844 2.5388 0.14 -0.18 -0.14
H -1.8725 -3.6555 0.9949 0.18 0.00 -0.21
H 1.0947 -3.9236 0.7188 0.13 0.13 -0.43
H 0.1286 -2.4721 0.8085 0.09 -0.08 -0.23
H 0.2495 -3.3316 -0.7413 -0.51 -0.33 0.01
H -2.2214 -5.5577 0.1921 0.35 -0.03 0.00
C -2.9240 -1.7155 -1.2134 0.52 0.97 -1.13
C -2.7576 -1.0832 -2.6857 -1.77 -2.06 2.14
C -3.3985 0.2367 -2.7594 0.13 1.92 -0.38
O -1.4647 -0.9771 -3.1111 2.21 0.45 -0.12
H -2.2534 -1.1668 -0.5277 -0.11 -0.36 -0.20
H -2.7386 -2.7915 -1.1892 0.24 0.15 -0.05
H -3.9409 -1.5403 -0.8712 -0.21 -0.02 -0.01
H -3.2715 -1.7660 -3.3629 0.04 -0.13 -0.15
H -3.0893 0.6471 -3.7270 -0.68 0.06 -0.16
H -2.9248 0.9530 -2.0765 -0.11 -0.20 0.32
H -4.4764 0.2734 -2.6068 0.02 -0.14 -0.14
H -1.0664 -0.1809 -2.6790 -0.11 -0.85 -0.15
C 3.8509 -3.8948 -1.8054 0.17 0.26 -0.03
C 3.5898 -2.5721 -1.0975 -0.09 0.81 -0.15
C 4.6407 -2.2335 -0.0514 -0.37 -0.51 0.26
O 3.5039 -1.4490 -2.0350 -0.18 -0.78 0.30
H 4.8400 -3.8825 -2.2751 -0.01 0.00 0.18
H 3.1344 -4.0117 -2.6094 -0.28 -0.21 -0.08
H 3.7873 -4.7516 -1.1175 -0.02 0.31 -0.19
H 2.6188 -2.5834 -0.5857 0.07 -0.39 -0.02
H 4.3452 -1.3358 0.4940 0.16 0.04 -0.02
H 5.6301 -2.1010 -0.4769 0.08 0.11 -0.19
H 4.6976 -3.0741 0.6633 -0.01 0.35 -0.19
H 2.7325 -1.6501 -2.6100 0.27 -0.03 0.12
C -3.7648 2.0249 1.9267 0.14 -0.70 0.98
C -3.6171 2.3054 0.4371 -2.23 -0.38 0.89
C -4.7979 3.1992 -0.0941 0.62 -0.50 0.53
O -2.3752 2.8251 0.1755 1.68 0.43 -0.72
H -3.7405 2.9010 2.5614 -0.64 0.57 -0.03
H -2.9769 1.4289 2.4136 0.40 -0.05 -0.93
H -4.6220 1.3759 2.1136 -0.49 0.53 0.06
H -3.7145 1.2942 0.0232 0.45 0.37 -0.69
H -4.5560 3.7488 -1.0113 0.10 -0.41 0.08
*/
blood cell count
## The entry is interrupted by molecular data
-- begin --
# C40H40GeN4O3S2SiZr

A molecular structure, C40H40GeN4O3S2SiZr in a non-equilibrium geometry (ωB97M-V with the def2-TZVPD basis set, OMol25).

Summary:
* net charge: -2
* HOMO level: -0.038 Eh
* E_tot: -5203.00907 hartree
* energy above the lowest of the compared OMol25 structures with the same formula, charge and spin: 28.14 kcal per mole

Each line ends with the Löwdin charge.
Cartesian coordinates (Å):
Zr 2.04 0.08 0.05  1.651
N 1.08 0.97 2.29  -0.019
C 2.13 1.86 2.84  -0.167
C 3.47 1.08 2.66  -0.546
O 4.21 0.94 3.65  -0.034
N 3.68 0.46 1.49  -0.136
C 4.57 -0.65 1.56  -0.176
C 3.78 -1.99 1.41  -0.617
O 4.27 -3.06 1.66  0.035
O 2.55 -1.80 1.00  -0.214
H 0.94 0.23 2.95  0.078
H 0.23 1.54 2.22  0.082
H 2.11 2.78 2.22  0.085
H 2.01 2.09 3.89  0.100
H 5.28 -0.67 0.73  0.089
H 5.15 -0.74 2.49  0.112
S 4.79 -0.11 -3.98  0.927
C 5.83 0.62 -2.81  -0.452
C 5.22 0.51 -1.55  -0.250
C 3.87 0.04 -1.52  -0.278
C 3.52 -0.32 -2.80  -0.543
C 2.21 -0.89 -3.02  -0.366
C 1.86 -1.79 -4.02  -0.094
C 0.62 -2.50 -3.81  -0.154
C -0.21 -2.30 -2.75  -0.094
C 0.09 -1.15 -1.80  -0.484
N 1.41 -0.57 -1.99  -0.107
H 6.75 1.04 -3.17  0.026
H 5.73 0.96 -0.66  0.091
H 2.57 -2.01 -4.81  0.064
H 0.28 -3.32 -4.51  0.091
H -1.08 -2.96 -2.57  0.091
H -0.65 -0.35 -2.01  0.093
C 1.55 6.36 -0.72  -0.209
Si 0.53 5.39 -1.90  0.465
C -0.83 6.61 -2.34  -0.212
C 1.47 5.10 -3.50  -0.170
C -0.22 3.88 -1.13  -0.243
C -1.60 3.59 -1.14  -0.098
C -2.11 2.41 -0.62  -0.064
C -1.16 1.41 -0.34  -0.164
N 0.14 1.58 -0.39  -0.092
C 0.64 2.80 -0.72  -0.748
S 2.36 2.86 -0.70  0.633
H 1.57 7.44 -0.90  0.022
H 2.57 5.99 -0.75  0.011
H 1.21 6.19 0.32  0.037
H -0.52 7.62 -2.62  0.021
H -1.48 6.94 -1.52  0.021
H -1.43 6.22 -3.17  0.027
H 2.09 5.92 -3.70  -0.002
H 0.83 4.85 -4.39  0.048
H 2.11 4.25 -3.43  0.001
H -2.34 4.33 -1.40  0.086
H -3.16 2.17 -0.61  0.088
H -1.46 0.39 -0.04  0.045
C 0.08 -1.44 -0.30  -0.336
Ge -1.58 -2.05 0.66  1.004
C -1.34 -1.84 2.60  -0.276
C -0.83 -2.82 3.43  -0.089
C -0.79 -2.66 4.82  -0.097
C -1.20 -1.47 5.38  -0.120
C -1.60 -0.40 4.56  -0.101
C -1.68 -0.63 3.19  -0.159
C -2.05 -4.00 0.59  -0.251
C -3.31 -4.56 0.84  -0.093
C -3.44 -5.97 0.92  -0.105
C -2.34 -6.79 0.71  -0.114
C -1.12 -6.23 0.30  -0.094
C -0.99 -4.85 0.24  -0.114
C -3.34 -1.26 0.15  -0.286
C -4.38 -1.25 1.04  -0.134
C -5.65 -0.80 0.67  -0.109
C -5.82 -0.24 -0.56  -0.116
C -4.75 -0.21 -1.47  -0.090
C -3.54 -0.74 -1.10  -0.120
H 0.58 -2.41 -0.18  0.005
H -0.48 -3.74 3.00  0.098
H -0.42 -3.51 5.43  0.106
H -1.03 -1.23 6.44  0.092
H -1.73 0.63 4.93  0.101
H -2.03 0.18 2.50  0.106
H -4.15 -3.92 1.13  0.088
H -4.34 -6.41 1.29  0.077
H -2.41 -7.85 0.82  0.078
H -0.29 -6.82 -0.02  0.094
H -0.09 -4.41 -0.13  0.088
H -4.18 -1.63 2.05  0.104
H -6.47 -0.80 1.39  0.096
H -6.75 0.30 -0.74  0.096
H -4.91 0.32 -2.37  0.090
H -2.72 -0.79 -1.81  0.095

---

# C40H40IN2O22S2

A molecular structure, C40H40IN2O22S2 in a non-equilibrium geometry (ωB97M-V with the def2-TZVPD basis set, OMol25).

Summary:
* net charge: +1
-- stop --
leukocyte differential analysis
Quantum chemistry results from another source follow.
=====
Entry 1:
This record from OMol25 describes a 8-piece molecular cluster, BrH14O7 overall in a non-equilibrium geometry. The level of theory is ωB97M-V/def2-TZVPD.

Cartesian coordinates (Å):
Br1 -0.0025 -0.5744 0.0555
O1 1.5525 2.4966 0.4935
H1 1.5865 2.2406 1.4035
H2 1.0255 1.8386 -0.0065
O2 -1.0035 1.3046 2.5925
H3 -1.8445 0.8876 2.8825
H4 -0.5205 0.7146 2.0145
O3 -2.9495 0.5746 0.3115
H5 -2.0655 0.1716 0.2645
H6 -3.0405 0.9786 -0.5505
O4 -0.9235 -0.3404 -3.0735
H7 -0.8965 -0.1044 -2.1245
H8 0.0235 -0.5484 -3.2645
O5 1.7505 -1.1194 2.7145
H9 2.5435 -0.9734 2.1415
H10 1.1335 -1.0024 1.9745
O6 0.6165 1.8846 -2.0965
H11 0.8665 0.9916 -1.8825
H12 -0.3265 1.9316 -1.9425
O7 1.1375 -3.7874 -0.8205
H13 0.5885 -4.5704 -0.5755
H14 0.7475 -2.9954 -0.5105

Properties
Max |F| = 0.055 hartree/bohr
Kohn-Sham gap = 9.723 eV
Charge = -1
Energy above the lowest of the compared OMol25 structures with the same formula, charge and spin = 24.2 kcal/mol
Calculated total energy = -84605.7791 eV
Spin multiplicity = 1


Entry 2:
This record from OMol25 describes a 9-piece molecular cluster, BrH16O8 overall in a non-equilibrium geometry. The level of theory is ωB97M-V/def2-TZVPD.

Cartesian coordinates (Å):
Br1 0.2888 -0.0610 -0.2193
O1 2.4578 2.2800 -1.1483
H1 2.7058 2.1410 -2.0073
H2 1.9188 1.8020 -0.6553
O2 -2.4922 -2.3900 -0.8143
H3 -1.7292 -2.1550 -0.7493
H4 -2.4542 -2.6600 -1.7623
O3 3.0478 -1.8780 -1.8783
H5 2.9118 -1.5380 -2.8203
H6 2.3828 -1.2000 -1.3313
O4 0.2338 -3.2940 0.3427
H7 0.1488 -2.5810 0.6837
H8 1.1298 -3.5400 0.4727
O5 -0.8902 2.7990 -1.7143
H9 -0.7902 3.3180 -0.8873
H10 -0.6502 1.9310 -1.3013
O6 -3.0782 0.9080 0.4297
H11 -2.1882 0.5360 0.3557
H12 -2.9892 1.8260 0.8597
O7 -0.9452 -0.6160 2.7967
H13 -0.8472 -0.4150 1.9277
H14 -0.4262 -1.2750 3.0837
O8 1.1118 2.1620 2.1817
H15 0.2438 2.2270 2.6787
H16 0.8998 1.6720 1.4757

Properties
Max |F| = 0.311 hartree/bohr
Kohn-Sham gap = 9.478 eV
Charge = -1
Energy above the lowest of the compared OMol25 structures with the same formula, charge and spin = 101.6 kcal/mol
Calculated total energy = -86682.2376 eV
Spin multiplicity = 1


Entry 3:
This record from OMol25 describes a 9-piece molecular cluster, BrH16O8 overall. The level of theory is ωB97M-V/def2-TZVPD.

Cartesian coordinates (Å):
Br1 0.0605 -0.2192 0.1828
O1 1.7721 0.1971 -2.5496
H1 2.7257 0.1657 -2.4718
H2 1.4570 0.1804 -1.6459
O2 -3.0690 -0.6774 -0.7487
H3 -3.2727 -1.2950 -1.4511
H4 -2.1147 -0.6047 -0.7622
O3 0.8392 -3.6510 0.4352
H5 1.7769 -3.5854 0.2544
H6 0.5078 -2.7617 0.3101
O4 -0.7235 3.3038 -0.0144
H7 -0.7377 2.3697 0.1942
H8 -0.3024 3.7122 0.7420
O5 2.0045 2.7058 -0.3459
H9 1.8195 1.9183 0.1659
H10 2.0310 3.4113 0.3005
O6 -2.4555 -1.5014 1.9637
H11 -2.3295 -2.0983 2.7013
H12 -1.5794 -1.1656 1.7743
O7 -1.0734 1.8009 -2.2349
H13 -1.1563 1.3349 -3.0669
H14 -0.6074 1.1907 -1.6634
O8 1.8121 -1.5600 2.8414
H15 1.5719 -1.0755 2.0516
H16 1.0433 -2.0955 3.0375

Properties
Max |F| = 0.017 hartree/bohr
Kohn-Sham gap = 9.639 eV
Charge = -1
=====
evaluation studies